September 1, 1970


I've just been sorted into Gryffindor.


I'm a bit numb now, you know, because I don't even want to think about how ANGRY father is going to be. It's just bad luck, is what it is, but who cares cos I've entirely BOLLOXED my entire school existence in the space of FOUR HOURS.

The blokes I sat with on the train- Rodolphus, I think, and- Wilkes? Don't remember- but anyway they're BOTH in Slytherin. I'M supposed to be there, every single ONE of my family has been in Slytherin and I'm, so so so SO….bolloxed. They'll hire some assassin to come murder me in the night with great bloody axes. Or something.

It's not that I even liked Rudolphus and Wilkes- they were actually busy tripping Mudbloods up in the hallway for most of the trip, they seemed a bit stupid and, you know, hulking and all that- but anyway it's not like I particularly enjoy most of my family's company, even, so maybe it's better I'm not in the same house as Bellatrix…

Maybe it'll be alright in Gryffindor- maybe I should forget about the giant bloody axe murderers and focus on how glorious it will be when Father and Mother get the news…Ohhhhhhh they're going to be SO angry…I'll just write them, shall I?


You'll be happy to note that I've gone and landed myself in GRYFFINDOR.

I know that you will be EVER SO PLEASED.

Your Moste Loyal, Excellent, Mind-Bogglingly Wonderful, Pure-blood and First-born Son,


That's rather appealing, isn't it? I think I will send exactly this. Oh, how mother will wail, Father will howl exotic curses and together they will cast that dastardly letter into the flames, where it will ERRUPT in Gold and Red sparks and OH how they shall CURSE THE DAY SIRIUS THE GREAT WAS BORN!

Or something along those lines. That sounds pretty bloody fantastic though. We'll just assume it'll go like that, shall we? Suppose I won't have to see them for AGES anyway.

So much for assassins in the night.

There's this boy staring at me from the bed across. Well, not really, he kind of peeks and looks very embarrassed to say anything. Let's see how long he can hold out, eh!

Actually he's the one I saw when I was about to put on the Sorting Hat. I didn't tell you about that.

_Records of crystals that have nothing to do with the piece_
- - -
Ta3FeRu2: calculated powder XRD pattern (Cu Kα X-rays), based on a DFT-relaxed cell (GGA-PBE, Alexandria).

```
Ta3FeRu2
1.0
2.2046 -6.6275 0.0000
2.2046 6.6275 0.0000
0.0000 0.0000 6.4025
Ta Fe Ru
6 2 4
Cartesian
0.0000 0.0000 1.5728
0.0000 0.0000 4.8297
2.2046 2.2556 1.5318
2.2046 2.2556 4.8707
2.2046 -2.2556 1.5318
2.2046 -2.2556 4.8707
2.2046 4.4634 0.0000
2.2046 -4.4634 0.0000
2.2046 4.4297 3.2013
2.2046 0.0000 0.0000
2.2046 0.0000 3.2013
2.2046 -4.4297 3.2013
```

The 8 most intense peaks (2θ = 15–90°), by angle:
2theta  d (Å)  I_rel
28.6  3.121  13.9
40.4  2.235  100.0
40.9  2.207  48.5
59.2  1.561  16.2
73.0  1.296  16.8
74.0  1.280  16.4
74.2  1.279  16.5
87.3  1.117  10.7

~~~~~

# 1
Calculated powder diffraction line list
Compound: ThSnBi2N
Radiation: a wavelength of 1.5418 Å
Structure: a structure optimized by DFT (GGA-PBE)
Intensities are scaled so that the largest is 1000.

The 10 most intense peaks (2θ from 10° to 90°), by intensity:
index, Position (°2θ), intensity
1 0 3, 26.5, 1000
1 1 0, 31.0, 915
1 0 5, 33.3, 797
2 0 0, 44.5, 375
2 1 5, 56.7, 362
2 1 3, 52.5, 319
1 1 8, 51.6, 307
0 0 8, 40.2, 215
3 1 0, 73.5, 168
2 0 8, 61.5, 137

Cell: 4.0734 4.0734 17.9450 Å, 90.00 90.00 90.00°
Space group P4/nmm (No. 129, origin choice 2)
Asymmetric unit:
Th 0.2500 0.2500 0.0644 x2
Sn 0.2500 0.2500 0.6429 x2
Bi 0.2500 0.2500 0.4288 x2
Bi 0.2500 0.2500 0.8085 x2
N 0.2500 0.7500 0.0000 x2



# 2
Calculated powder diffraction line list
Compound: Tl4HgPb3
Radiation: a wavelength of 1.5418 Å
Structure: a structure optimized by DFT (GGA-PBE)
Intensities are scaled so that the largest is 1000.

The 10 most intense peaks (2θ from 10° to 90°), by intensity:
index, Position (°2θ), intensity
3 1 1, 31.4, 1000
5 1 -1, 31.6, 985
0 2 0, 34.4, 398
2 0 -2, 34.6, 390
8 2 0, 54.0, 331
5 3 -1, 59.9, 330
2 2 -2, 49.6, 289
8 0 0, 40.4, 254
3 3 1, 59.7, 166
7 1 -3, 60.3, 162

Cell: 18.5468 5.2194 5.1834 Å, 90.00 105.72 90.00°
Space group C2/m (No. 12)
Asymmetric unit:
Tl 0.1215 0.0000 0.1214 x4
Tl 0.2491 0.0000 0.7504 x4
Hg 0.0000 0.0000 0.5000 x2
Pb 0.0000 0.5000 0.0000 x2
Pb 0.1218 0.5000 0.6196 x4



Which formula does entry 2 have?
Tl4HgPb3

~~~~~

# TiO2
Simulated X-ray diffraction stick pattern, Cu Ka. Input: a crystal structure in the Materials Project, relaxed with GGA-PBE.
Neutral-atom scattering factors, no anomalous dispersion.

Most intense lines, 5 to 70 degrees two-theta, low angle first:
2θ = 16.61°, I = 100.0
2θ = 33.58°, I = 2.4
2θ = 34.60°, I = 10.8
2θ = 35.64°, I = 5.2
2θ = 38.61°, I = 27.0
2θ = 43.17°, I = 8.8
2θ = 48.98°, I = 24.9
2θ = 62.00°, I = 10.2
2θ = 63.40°, I = 11.2
2θ = 64.68°, I = 10.7

Cell and atoms:
a b c (Å): 5.9879 10.6758 5.1845
angles (deg): 90.00 90.00 90.00
Positions (direct):
Ti: 0.0000 0.0000 0.0000
Ti: 0.0000 0.5000 0.0000
Ti: 0.2500 0.0128 0.4932
Ti: 0.2500 0.4872 0.4932
Ti: 0.5000 0.0000 0.0000
Ti: 0.5000 0.5000 0.0000
Ti: 0.7500 0.5128 0.5068
Ti: 0.7500 0.9872 0.5068
O: 0.9997 0.0914 0.3331
O: 0.9997 0.4086 0.3331
- - -

I was practicing my 'lofty sneering' expression- because Father seems to wear it so well, and he always just OOZES confidence- which can really be quite intimidating- so anyhow, stupid arse that I am, I decided to be very confident and wear The Expression- though Regulus tells me I look a bit as if I've swallowed a sock. But he's an idiot, so.

Anyway, of course this is exactly when I've been called to put on the hat, so I trip over my feet but still! CONFIDENCE OOZER! LORD OF FIRST YEARS!

But then, you know for this split-second before the Hat drops over my eyes and blocks everything from view, this bloke catches my eye. And I was, and am so far into my Hogwarts experience, unbelievably unsatisfied with the people I've met, and so this rather friendly-looking bloke sort of twitches, and we look at each other and I think Merlin's BALLS I am so sick of idiots, and all this Mudblood-Pure-blood utter crap. And so he gives me this little smile, a kind of, hello! I'm a nice person, maybe we'll be friends, eh? And I'm just frowning a bit, thinking, EH?

But he's got a friendly face, with rather a large nose (although not as large as this greasy-haired boy I saw earlier- nose of EPIC proportions, that-) and- very cool- a long bit of scar down his cheek. Wonder where he got that bit of manliness? I wish I had a scar. Everyone would hear the stupendous tale of how I fought off a dragon single-handedly whilst defending a beautiful maiden, who, of course, would be much older than my eleven-year-old self, and far bustier than any eleven-year-old girl I've yet to lay eyes on.

But anyway.

So then down the hat goes, and I'm still thinking, 'BOY HOW GREAT WOULD IT BE TO HAVE FRIENDS THAT AREN'T COMPLETELY INSUFFERABLE PRATS!' Because, you know, being with Regulus constantly TRULY takes its toll.

That hat was awful though. Like it was strolling around my BRAIN, which was, you know, awkward to say the least, and I could almost hear it probing around in my thoughts.

'Ambitious?' it goes. 'Yes, I suppose...and headstrong, yes..' and here I'm thinking, 'la dee dah, ho hum, Slytherin for me I suppose..'

But THEN it starts, 'But also very playful, loyal, a thirst for friendship and strong bonds..yes, yes..' And I go 'Playful!' because I am not PLAYFUL. Puppies are playful. And butterflies and sunny meadows with frolicking deer. I am NOT playful. I am STOIC and NOBLE and….IMPOSING. That's right.

So anyways, there I am, grumbling to this ratty old hat, telling it how STOIC I am, how I come from an old PURE-BLOOD family of UNTARNISHED REPUTATION, and the bloody hat, the bloody HAT goes,


That's it! Just, 'Gryffindor.' Cool as you like, no questions or anything. As if it hadn't seen my ENTIRE FAMILY IS SLYTHERIN AND THEY WILL MURDER ME IN MY SLEEP. The boys next morning will come looking for their roommate and see giant bloody stains and say "Hallo, weren't that Sirius Black just a moment ago?"

Stupid bloody hat.

So, here I am now, pondering my fate and trying not to look at this bloke sitting across from me with this old grimy book he keeps leafing through. I think he's getting the courage to speak! Aha, we shall soon have a name to record in your dusty innards. If he's not a sodding idiot of course. I suppose I might as well make the best of this, eh? Oh hell. I'm a Slytherin through and through, who am I kidding.